
〇跟踪意识月 跟踪是一种危险的犯罪,影响到6.600万美国成年人在一年内死亡. The better we understand the facts about stalking, the more we can do to stop it.

这就是为什么跟踪资源中心, 国家犯罪受害者中心, 以及暴力侵害妇女问题办公室, U.S. Department of Justice, launched National Stalking Awareness Month in 2004. 从那以后的每年一月, communities across the country have focused on stalking - holding events, 共享信息, 建立对犯罪的认识.

Records of molecules that have nothing to do with the text:
+++
# 1
Below is an isolated molecule of C4H5NO, with properties calculated with the ωB97M-V functional and the def2-TZVPD basis.

Output
SMILES = C#CC(=O)NC
electronic energy = -7764.7998 eV
gap between HOMO and LUMO = 10.82 eV
energy relative to the best compared isomer or geometry (same formula, charge and spin) = 1.727 eV

```
! wB97M-V def2-TZVPD RIJCOSX def2/J DEFGRID3
* xyz 0 1
C -1.24413 0.37897 -0.66359
N -0.74216 -0.85175 -0.09214
C 0.41824 -0.99631 0.60237
O 0.70665 -1.99946 1.23041
C 1.33771 0.14021 0.51403
C 2.14450 1.03201 0.45137
H -1.85738 0.15319 -1.53872
H -0.40072 0.99443 -0.98161
H -1.84410 0.95309 0.05189
H -1.37858 -1.62791 0.02928
H 2.85998 1.82353 0.39671
*
```

---

# 2
Below is an isolated molecule of C4H5NO at a distorted geometry, with properties calculated with the ωB97M-V functional and the def2-TZVPD basis.

Output
SMILES = CCC(=O)C#N
electronic energy = -7765.7469 eV
gap between HOMO and LUMO = 10.86 eV
energy relative to the best compared isomer or geometry (same formula, charge and spin) = 0.780 eV

```
! wB97M-V def2-TZVPD RIJCOSX def2/J DEFGRID3
* xyz 0 1
C 0.80108 -0.54362 -1.17980
C -0.43297 -0.08961 -0.40297
C -0.01247 0.61515 0.86782
O 1.02302 1.22113 1.00226
C -0.94800 0.54495 2.01510
N -1.64669 0.47528 2.93462
H 1.60048 0.18495 -1.02365
H 0.60501 -0.62515 -2.25066
H 1.15016 -1.51474 -0.81645
H -1.12150 -0.90789 -0.16435
H -1.01812 0.63955 -0.98194
*
```

----------

DFT (ωB97M-V with the def2-TZVPD basis set) results for a structure of composition C12H19CeO7P at a distorted geometry.

The geometry in XYZ format:
```
40
Properties=species:S:1:pos:R:3:forces:R:3:mulliken_spin:R:1
Ce -0.4067 0.5897 -0.5966 3.523 -4.506 -1.040 1.01
C -1.6309 2.3306 0.3956 -5.878 8.562 2.436 0.00
O -2.2783 3.2953 0.5709 3.883 -5.770 -0.840 0.01
C -0.4957 2.6904 -2.2195 -0.054 5.662 -2.577 0.00
O -0.4291 3.7321 -2.7202 -0.299 -4.802 2.095 0.00
C -2.9325 0.8100 -1.7248 -5.102 2.119 -1.865 0.00
O -3.9406 1.2307 -2.1102 4.639 -2.110 1.687 0.00
C 1.8300 1.2881 -2.5596 3.157 0.564 -0.758 0.00
O 2.8672 1.6156 -2.9057 -3.066 -0.979 0.803 0.00
C -0.8037 -1.6075 -4.3028 0.154 -0.213 0.970 0.00
H 0.1897 -2.0963 -4.1901 -1.007 0.091 -0.170 0.00
H -1.7185 -2.0872 -3.8846 0.889 0.100 -0.559 0.00
C -0.8839 -0.4131 -4.8960 0.058 0.780 0.587 0.00
H -1.8621 0.1023 -4.9713 0.780 -0.289 -0.330 0.00
H 0.0419 0.0817 -5.2515 -0.872 -0.274 -0.101 0.00
C -0.7976 -3.6236 1.6921 0.076 0.164 0.107 0.00
C -1.1613 -2.4579 0.8155 0.596 0.315 -0.179 0.00
O 0.1557 -1.7836 0.2275 -0.995 1.076 0.287 0.00
P 1.6669 -1.5625 1.0440 -0.685 0.033 1.315 0.00
O 1.2637 -1.5399 2.6065 0.156 1.310 -1.476 0.00
C 0.7614 -0.3469 3.3784 0.943 -0.873 -0.075 0.00
C -0.6809 -0.0461 3.1534 -0.365 -0.074 0.424 0.00
O 1.5745 0.2149 0.6516 -0.780 0.506 -0.439 -0.01
C 2.5750 1.3430 0.7507 0.171 -0.400 0.077 0.00
C 1.9050 2.6679 0.3906 -0.351 -0.043 0.165 0.01
H -0.1498 -4.3062 1.1387 -0.170 -0.124 0.089 0.00
H -1.7009 -4.1471 2.0245 0.084 0.037 -0.268 0.00
+++
So much for the records of molecules:


饮食失调认知周, a week when eating disorder illnesses draw greater attention via the efforts of individuals like YOU! 通过有意的活动, conversations and events we can all help create an environment that redefines outdated thinking, 减少与体重相关的耻辱感, 体型, 或大小, and inspires someone to reconsider an unhealthy attitude or behavior.




妇女历史月 had its origins as a national celebration in 1981 when Congress passed Pub. L. 97-28 which authorized and requested the President to proclaim the week beginning 3月 7, 1982年的“妇女历史周”.“在接下来的五年里, Congress continued to pass joint resolutions designating a week in 3月 as "女性的 历史 Week." In 1987 after being petitioned by the National 女性的 历史 Project, Congress passed Pub. L. 100-9 which designated the month of 3月 1987 as "妇女历史月.“1988年到1994年, Congress passed additional resolutions requesting and authorizing the President to proclaim 3月 of each year as 妇女历史月. 自1995年以来, 克林顿总统, Bush and Obama have issued a series of annual proclamations designating the month of 3月 as "妇女历史月."


同工同酬日 was originated by the National Committee on Pay Equity (NCPE) in 1996 as a public awareness event to illustrate the gap between men's and women's w年龄s.


性侵犯意识月(阿姆) - The goal of 阿姆 is to raise public awareness about 性ual violence and to educate communities and individuals on how to prevent 性ual violence.

By working together and pooling our resources during the month of 4月, 我们可以强调性暴力是一个重大的公共卫生问题, human rights and social justice issue and reinforce the need for prevention efforts.


精神健康宣传月 -每年我们都在与污名作斗争, 提供支持, educate the public and advocate for policies that support people with mental illness and their families.


妇女平等日 -应众议员的要求. 贝拉·艾布扎格(纽约州民主党),1971年美国总统候选人.S. 国会将8月26日定为“妇女平等日”."

The date was selected to commemorate the 1920 pass年龄 of the 19th Amendment to the Constitution, 给予妇女投票权. 这是一场大规模, peaceful civil rights movement by women that had its formal beginnings in 1848 at the world's first women's rights convention, 在塞内卡瀑布, 纽约.

The observance of 妇女平等日 not only commemorates the pass年龄 of the 19th Amendment, but also calls attention to women's continuing efforts toward full equality. 工作场所, 库, 组织, and public facilities now participate with 妇女平等日 programs, 显示, 视频放映, 或者其他活动.


全国校园安全意识月 - Take part on 9月 25, recognized as the official Day of Action on campuses. 鼓励学生、教师和工作人员制定PACT:

  • 我知道性侵犯随时都可能发生在任何人身上.
  • 我相信我们可以通过教育结束性侵犯.
  • 在任何性行为之前,我都要确保对方的同意.
  • I will take action if I see a situation that could lead to 性ual assault.
  • 我承诺更多地了解和促进《最靠谱的网赌软件》.


妇女节 -总是在九月的第三个星期日举行.

  • 促进妇女之间的友谊
  • Hold and/or attend a breakfast, luncheon, or dinner with a women's group
  • 拜访你的女性朋友
  • If any of your friends are out of town, send an Ecard or make a call to them
  • 花时间和特别的朋友在一起.
  • 提高妇女在社会中的价值


家庭暴力宣传月- 从10月的第一个团结日演变而来, 1981年由全国反家庭暴力联盟发起. The intent was to connect battered womens advocates across the nation who were working to end violence against women and their children. The Day of Unity soon became a special week when a range of activities were conducted at the local, 状态, 国家层面.

身体包容周(爱你的身体) - the beauty industry (and the media in general) tell women and girls that being admired, envied and desired based on their looks is a primary function of true womanhood. The beauty template women are expected to follow is extremely narrow, 不切实际的,而且常常对他们的健康有害. The Love Your Body campaign challenges the mess年龄 that a woman's value is best measured through her willingness and ability to embody current beauty standards.


印第安人传统月 - National Native American Herit年龄 Day is observed next on Friday, 11月 25th, 2022. 自2008年以来,感恩节被定在感恩节后的第二天.

国际男人节 - 国际男人节 is for celebrating men and the contributions they make to society.

  • To highlight the importance of male role models—not just popular figures, 但是普通的工人阶级.
  • To celebrate the positive roles of men in communities, families, relationships, and childcare.
  • 关注男人和男孩的健康.
  • To highlight discrimination faced by men, such as social attitudes and expectations.
  • To improve 性别 relations across the world, and to promote 性别 equality.
  • To create a safer, better world where people can reach their full potential.


世界人权月 - 12月10日, 人权日, is a global holiday that marks the adoption of the Universal Declaration of Human Rights by the United Nations in 1948. 《最靠谱的网赌软件》第一条指出,

“人人生而自由,在尊严和权利上平等." Sadly, many people around the world have not experienced this truth. 他们因种族而面临歧视和迫害, 国家的起源, 性, 性别, 宗教, 年龄, 语言, 或者其他状态."

Data records that have nothing to do with the page
~~~
Density functional theory data (wB97M-V/def2-TZVPD) for a 11-piece molecular cluster, C54H139N9O18 overall in a non-equilibrium geometry.

Gap between HOMO and LUMO = 8.392 eV
Maximum force = 3.443 eV/A
SMILES = COC[C@H](C)N.COC[C@H](C)N.COCCNCCOC.COCCNCCOC.COCCNCCOC.COCCNCCOC.COCCNCCOC.COCCNCCOC.COCCNCCOC.CCO.CCO
Multiplicity = 1
E_tot = -3987.40068 Ha
LUMO level = 0.6 eV
Total charge = 0

Structure (XYZ):
```
220
Properties=species:S:1:pos:R:3:forces:R:3:mulliken_charge:R:1
H 0.2720 -0.1734 -3.3503 0.359 0.288 0.186 -0.365
C -8.2814 -2.0841 0.8140 -1.414 1.075 1.791 -0.666
C 0.0850 -6.6860 1.6452 -2.043 1.593 1.427 0.512
H 4.3072 1.9928 4.7129 0.239 0.209 -0.251 0.422
H 3.9029 4.5843 0.6362 0.849 0.033 0.682 -0.427
C 0.7785 7.7803 2.9842 -0.293 -0.287 -2.063 -0.075
H -5.6448 1.4249 -2.0167 0.325 0.168 -0.480 0.501
H -7.1916 0.0756 -1.2555 -0.160 -0.423 -0.114 0.376
H 7.3135 4.3822 1.9936 -1.210 1.589 0.543 0.291
H -0.7318 -1.0852 -7.8128 -0.003 -0.284 -0.327 0.364
C -0.0770 -0.8953 -6.9657 -0.447 -1.117 0.343 -0.891
C 3.8313 -8.4594 3.3812 0.851 -1.646 1.529 -0.821
C 0.9121 -1.3029 -1.6635 0.183 -0.588 0.379 0.500
H 4.3617 -8.8496 2.5401 0.309 -0.933 -0.350 0.244
H -2.7985 -2.8619 1.5722 -0.394 0.342 -0.022 0.121
H 2.3353 6.5184 -1.8771 -0.621 0.794 -0.232 0.575
C -1.4039 5.9570 0.8164 -1.269 -0.340 -1.168 -0.440
H 3.6902 -3.7409 0.3457 -0.147 -1.181 0.910 0.211
H 1.6340 -1.9627 -2.1337 0.582 -0.112 0.162 0.629
H 3.2771 3.2532 3.9727 1.308 -0.838 -0.200 0.219
O 0.3773 1.0333 -1.6837 -0.057 0.496 -0.237 0.184
C 3.6138 7.7868 3.1414 0.308 -1.899 1.736 -1.123
H 4.2628 0.3007 0.6287 -1.706 -1.121 -0.111 -0.637
C 3.1531 5.0631 0.0591 -0.889 -0.092 -1.659 0.525
C -2.6161 -1.9586 2.1712 -1.224 1.102 -2.190 0.428
O 3.0053 -7.5186 2.8879 -0.950 1.714 -0.820 -0.174
O 2.3406 -0.1377 2.3418 0.298 -0.960 -0.406 -0.200
H 4.0367 -0.4893 -4.3766 -0.155 -0.453 0.302 0.255
H -0.5693 -2.6296 -2.5970 0.066 0.790 0.026 0.434
C -1.9831 -2.3831 3.4096 1.556 0.078 1.664 -0.613
O -3.8332 -1.1454 2.1213 0.743 -0.182 1.196 -0.404
C 2.6083 5.5354 -2.2148 1.712 -0.235 0.865 0.003
H 5.3363 0.5503 -4.8680 -0.026 0.136 -0.252 0.295
H 5.3071 4.3504 4.5382 0.089 0.137 0.021 0.567
H -2.0528 6.3975 -4.2523 -0.567 0.046 0.498 0.356
O 5.4591 1.7558 -0.0297 -0.172 0.546 1.127 -0.219
C -1.5774 6.0383 -5.1512 0.129 -0.610 0.756 -0.893
C 2.1632 -3.7246 1.8513 -0.180 -0.206 0.972 0.332
H 0.8976 0.0832 3.8148 0.050 -0.046 0.067 0.497
C 0.7427 -7.7314 3.8295 -0.174 1.794 -0.257 -0.700
H 4.5849 -8.0699 4.0830 -0.027 0.240 -0.015 0.293
H -2.1504 0.3501 -3.8625 0.188 -0.568 0.208 -0.259
H 3.0038 0.5176 2.6110 -0.349 0.811 0.254 0.500
O 0.2730 -8.0920 -0.2855 -0.220 -0.893 -0.076 -0.495
H 3.2317 -9.1919 3.9832 0.707 -0.140 -0.738 0.332
H -1.7461 -1.5306 4.0878 -0.045 -0.335 -0.481 0.314
H -0.9277 2.1138 -3.2643 -0.154 0.567 -0.863 -1.025
H -10.7298 -4.2728 0.8471 0.276 0.533 0.170 0.238
H 4.5639 2.7844 -5.7308 0.146 -0.323 -0.383 0.452
C -3.7155 -4.6252 -3.7354 1.649 -0.417 -0.410 -1.279
~~~


世界艾滋病日 - Is held on 1 12月 each year and is an opportunity for people worldwide to unite in the fight against HIV, show their support for people living with HIV and to commemorate people who have died. 世界艾滋病日 was the first ever global health day and the first one was held in 1988.
